== Contents ==
- - -
## CoSnSO (PBE with a Hubbard U)

Data for a relaxed CoSnSO crystal.

Properties
**Magnetic moment**: 3.0 μB per formula unit
**Space-group type**: Cmc2_1, No. 36
**Raw total energy**: -5.122 eV/atom

Lattice parameters (Å, degrees): 8.3951 8.3951 5.5225 90.00 90.00 23.17
Closest atoms and distances in Å follow each position.
Sites, in units of the cell vectors:
Sn 0.0807 0.0807 0.8820  1 O 2.07
Sn 0.9193 0.9193 0.3820  1 O 2.07
O 0.8737 0.8737 0.0328  2 Co 2.01, 1 Sn 2.07
O 0.1263 0.1263 0.5328  2 Co 2.01, 1 Sn 2.07
S 0.6938 0.6938 0.0229  3 Co 2.39-2.61, 2 Sn 2.63
S 0.3062 0.3062 0.5229  3 Co 2.39-2.61, 2 Sn 2.63
Co 0.6871 0.6871 0.4550  2 O 2.01
Co 0.3129 0.3129 0.9550  2 O 2.01

----------

No. 1
A geometry-optimized BaBeTlSi2 structure. Source: the Alexandria database, functional PBE-GGA. Values from VASP.

```
&SYSTEM
  ibrav = 0, nat = 5, ntyp = 4
/
ATOMIC_SPECIES
Be 9.01 Be.upf
Tl 204.38 Tl.upf
Si 28.09 Si.upf
Ba 137.33 Ba.upf
CELL_PARAMETERS angstrom
5.226 0.000 0.000
0.000 6.527 0.000
0.000 0.000 5.226
ATOMIC_POSITIONS angstrom
Be 2.613 3.263 2.613
Tl 0.000 0.000 0.000
Si 0.000 0.000 2.613
Si 2.613 0.000 0.000
Ba 0.000 3.263 0.000
```

Calculated values
density = 3.79 Mg/m³
magnetic moment = 0.0 μB per formula unit
E = -2.536 eV per atom
calculated volume = 35.6 Å³/atom
uncorrected formation energy = 596 kJ/mol of formula units

***

No. 2
A geometry-optimized BaY2BeSi structure. Source: the Alexandria database, functional PBE-GGA. Values from VASP.

```
&SYSTEM
  ibrav = 0, nat = 5, ntyp = 4
/
ATOMIC_SPECIES
Y 88.91 Y.upf
Be 9.01 Be.upf
Si 28.09 Si.upf
Ba 137.33 Ba.upf
CELL_PARAMETERS angstrom
5.657 0.000 0.000
0.000 4.684 0.000
0.000 0.000 5.657
ATOMIC_POSITIONS angstrom
Y 0.000 0.000 2.828
Y 2.828 0.000 0.000
Be 0.000 2.342 0.000
Si 2.828 2.342 2.828
Ba 0.000 0.000 0.000
```

Calculated values
density = 3.90 Mg/m³
magnetic moment = 0.0 μB per formula unit
E = -3.166 eV per atom
calculated volume = 30.0 Å³/atom
uncorrected formation energy = 788 kJ/mol of formula units

***

No. 3
A geometry-optimized Ba3BeSn structure. Source: the Alexandria database, functional PBE-GGA. Values from VASP.

```
&SYSTEM
  ibrav = 0, nat = 5, ntyp = 3
/
ATOMIC_SPECIES
Be 9.01 Be.upf
Ba 137.33 Ba.upf
Sn 118.71 Sn.upf
CELL_PARAMETERS angstrom
5.993 0.000 0.000
0.000 5.993 0.000
0.000 0.000 5.993
ATOMIC_POSITIONS angstrom
Be 0.000 0.000 0.000
Ba 0.000 2.997 0.000
Ba 0.000 0.000 2.997
Ba 2.997 0.000 0.000
Sn 2.997 2.997 2.997
```

Calculated values
calculated formation energy = 18 kJ/mol of atoms
density = 4.16 Mg/m³
magnetic moment = 0.0 μB per formula unit
E = -2.513 eV per atom
ΔE to the lowest computed polymorph = 0.000 eV per atom
calculated volume = 43.1 Å³/atom

***

No. 4
A geometry-optimized Ba2Be2Sn structure. Source: the Alexandria database, functional PBE-GGA. Values from VASP.

```
&SYSTEM
  ibrav = 0, nat = 10, ntyp = 3
/
ATOMIC_SPECIES
Be 9.01 Be.upf
Ba 137.33 Ba.upf
Sn 118.71 Sn.upf
CELL_PARAMETERS angstrom
-1.178 6.206 3.659
-7.153 -0.566 -1.343
-0.608 -2.694 4.373
ATOMIC_POSITIONS angstrom
Be -6.882 1.955 0.247
Be -5.371 5.225 2.471
Be -1.449 3.685 2.068
Be -2.960 0.416 -0.155
Ba -5.506 -0.529 1.967
Ba -6.880 2.512 3.649
Ba -3.433 3.476 4.722
Ba -2.059 0.435 3.040
Sn 0.000 0.000 0.000
Sn -4.165 2.820 1.158
```

Calculated values
calculated formation energy = 14 kJ/mol of atoms
density = 4.96 Mg/m³
magnetic moment = 0.0 μB per formula unit
E = -2.912 eV per atom
ΔE to the lowest computed polymorph = 0.000 eV per atom
calculated volume = 27.6 Å³/atom

***

No. 5
A geometry-optimized BaBe2Sn structure. Source: the Alexandria database, functional PBE-GGA. Values from VASP.

```
&SYSTEM
  ibrav = 0, nat = 8, ntyp = 3
/
ATOMIC_SPECIES
Be 9.01 Be.upf
Ba 137.33 Ba.upf
Sn 118.71 Sn.upf
CELL_PARAMETERS angstrom
5.014 0.000 0.000
0.000 5.014 0.000
2.507 2.507 8.285
ATOMIC_POSITIONS angstrom
Be 2.506 1.254 2.071
Be 2.508 3.761 2.071
Be 3.761 5.015 6.214
Be 6.268 5.013 6.214
Ba 0.000 0.000 0.000
Ba 5.014 2.507 4.143
- - -

== What to do ==
Quote the data above with every line break kept.

== Reply ==
## CoSnSO (PBE with a Hubbard U)

Data for a relaxed CoSnSO crystal.

Properties
**Magnetic moment**: 3.0 μB per formula unit
**Space-group type**: Cmc2_1, No. 36
**Raw total energy**: -5.122 eV/atom

Lattice parameters (Å, degrees): 8.3951 8.3951 5.5225 90.00 90.00 23.17
Closest atoms and distances in Å follow each position.
Sites, in units of the cell vectors:
Sn 0.0807 0.0807 0.8820  1 O 2.07
Sn 0.9193 0.9193 0.3820  1 O 2.07
O 0.8737 0.8737 0.0328  2 Co 2.01, 1 Sn 2.07
O 0.1263 0.1263 0.5328  2 Co 2.01, 1 Sn 2.07
S 0.6938 0.6938 0.0229  3 Co 2.39-2.61, 2 Sn 2.63
S 0.3062 0.3062 0.5229  3 Co 2.39-2.61, 2 Sn 2.63
Co 0.6871 0.6871 0.4550  2 O 2.01
Co 0.3129 0.3129 0.9550  2 O 2.01

----------

No. 1
A geometry-optimized BaBeTlSi2 structure. Source: the Alexandria database, functional PBE-GGA. Values from VASP.

```
&SYSTEM
  ibrav = 0, nat = 5, ntyp = 4
/
ATOMIC_SPECIES
Be 9.01 Be.upf
Tl 204.38 Tl.upf
Si 28.09 Si.upf
Ba 137.33 Ba.upf
CELL_PARAMETERS angstrom
5.226 0.000 0.000
0.000 6.527 0.000
0.000 0.000 5.226
ATOMIC_POSITIONS angstrom
Be 2.613 3.263 2.613
Tl 0.000 0.000 0.000
Si 0.000 0.000 2.613
Si 2.613 0.000 0.000
Ba 0.000 3.263 0.000
```

Calculated values
density = 3.79 Mg/m³
magnetic moment = 0.0 μB per formula unit
E = -2.536 eV per atom
calculated volume = 35.6 Å³/atom
uncorrected formation energy = 596 kJ/mol of formula units

***

No. 2
A geometry-optimized BaY2BeSi structure. Source: the Alexandria database, functional PBE-GGA. Values from VASP.

```
&SYSTEM
  ibrav = 0, nat = 5, ntyp = 4
/
ATOMIC_SPECIES
Y 88.91 Y.upf
Be 9.01 Be.upf
Si 28.09 Si.upf
Ba 137.33 Ba.upf
CELL_PARAMETERS angstrom
5.657 0.000 0.000
0.000 4.684 0.000
0.000 0.000 5.657
ATOMIC_POSITIONS angstrom
Y 0.000 0.000 2.828
Y 2.828 0.000 0.000
Be 0.000 2.342 0.000
Si 2.828 2.342 2.828
Ba 0.000 0.000 0.000
```

Calculated values
density = 3.90 Mg/m³
magnetic moment = 0.0 μB per formula unit
E = -3.166 eV per atom
calculated volume = 30.0 Å³/atom
uncorrected formation energy = 788 kJ/mol of formula units

***

No. 3
A geometry-optimized Ba3BeSn structure. Source: the Alexandria database, functional PBE-GGA. Values from VASP.

```
&SYSTEM
  ibrav = 0, nat = 5, ntyp = 3
/
ATOMIC_SPECIES
Be 9.01 Be.upf
Ba 137.33 Ba.upf
Sn 118.71 Sn.upf
CELL_PARAMETERS angstrom
5.993 0.000 0.000
0.000 5.993 0.000
0.000 0.000 5.993
ATOMIC_POSITIONS angstrom
Be 0.000 0.000 0.000
Ba 0.000 2.997 0.000
Ba 0.000 0.000 2.997
Ba 2.997 0.000 0.000
Sn 2.997 2.997 2.997
```

Calculated values
calculated formation energy = 18 kJ/mol of atoms
density = 4.16 Mg/m³
magnetic moment = 0.0 μB per formula unit
E = -2.513 eV per atom
ΔE to the lowest computed polymorph = 0.000 eV per atom
calculated volume = 43.1 Å³/atom

***

No. 4
A geometry-optimized Ba2Be2Sn structure. Source: the Alexandria database, functional PBE-GGA. Values from VASP.

```
&SYSTEM
  ibrav = 0, nat = 10, ntyp = 3
/
ATOMIC_SPECIES
Be 9.01 Be.upf
Ba 137.33 Ba.upf
Sn 118.71 Sn.upf
CELL_PARAMETERS angstrom
-1.178 6.206 3.659
-7.153 -0.566 -1.343
-0.608 -2.694 4.373
ATOMIC_POSITIONS angstrom
Be -6.882 1.955 0.247
Be -5.371 5.225 2.471
Be -1.449 3.685 2.068
Be -2.960 0.416 -0.155
Ba -5.506 -0.529 1.967
Ba -6.880 2.512 3.649
Ba -3.433 3.476 4.722
Ba -2.059 0.435 3.040
Sn 0.000 0.000 0.000
Sn -4.165 2.820 1.158
```

Calculated values
calculated formation energy = 14 kJ/mol of atoms
density = 4.96 Mg/m³
magnetic moment = 0.0 μB per formula unit
E = -2.912 eV per atom
ΔE to the lowest computed polymorph = 0.000 eV per atom
calculated volume = 27.6 Å³/atom

***

No. 5
A geometry-optimized BaBe2Sn structure. Source: the Alexandria database, functional PBE-GGA. Values from VASP.

```
&SYSTEM
  ibrav = 0, nat = 8, ntyp = 3
/
ATOMIC_SPECIES
Be 9.01 Be.upf
Ba 137.33 Ba.upf
Sn 118.71 Sn.upf
CELL_PARAMETERS angstrom
5.014 0.000 0.000
0.000 5.014 0.000
2.507 2.507 8.285
ATOMIC_POSITIONS angstrom
Be 2.506 1.254 2.071
Be 2.508 3.761 2.071
Be 3.761 5.015 6.214
Be 6.268 5.013 6.214
Ba 0.000 0.000 0.000
Ba 5.014 2.507 4.143